The existing mechanical systems were standard McDonalds specifications, which controlled building pressures with use of economizers in the RTU’s. There is substantial fixed speed exhaust to mitigate however while trying to maintain comfort. All controls were centrally located in the office for the RTU’s and were routinely overridden by managers.
Central Wireless Automation System was Added to the Existing Mechanicals
### These calculated crystals were left in the text by mistake
/*
For Ba3Mn, a DFT-relaxed cell (PBE, Alexandria) gives the theoretical powder diffractogram in this record (a wavelength of 1.5418 Å).

Most intense lines, 2θ from 15° to 90°, low angle first:
d/Å  I (rel.)
4.106  15.1
3.697  39.9
3.366  12.3
3.261  34.6
3.172  100.0
2.284  14.5
1.871  15.8
1.864  33.0
1.798  12.2
1.525  11.9

Structure:
```
Ba3Mn
1.0
4.3112 0.0000 0.0000
0.0000 6.5213 0.0000
0.0000 0.0000 13.4657
Ba Mn
6 2
Direct
0.0000 0.0000 0.0000 Ba
0.0000 0.5000 0.1982 Ba
0.0000 0.5000 0.8018 Ba
0.5000 0.0000 0.3018 Ba
0.5000 0.0000 0.6982 Ba
0.5000 0.5000 0.5000 Ba
0.0000 0.0000 0.5000 Mn
0.5000 0.5000 0.0000 Mn
```

***

For K2AsPb2, a DFT-relaxed cell (PBE, Alexandria) gives the theoretical powder diffractogram in this record (a wavelength of 1.5418 Å).

Most intense lines, 2θ from 15° to 90°, low angle first:
d/Å  I (rel.)
5.844  70.7
3.490  33.5
2.997  100.0
2.922  27.7
2.468  25.4
2.274  25.6
2.240  21.6
1.885  22.8
1.701  19.1
1.407  14.0

Structure:
```
K2AsPb2
1.0
7.8048 0.0000 0.0000
0.0000 7.8048 0.0000
0.0000 0.0000 5.8437
K As Pb
4 2 4
Direct
0.1771 0.3229 0.0000 K
0.3229 0.8229 0.0000 K
0.6771 0.1771 0.0000 K
0.8229 0.6771 0.0000 K
0.0000 0.0000 0.5000 As
0.5000 0.5000 0.5000 As
0.1418 0.6418 0.5000 Pb
0.3582 0.1418 0.5000 Pb
0.6418 0.8582 0.5000 Pb
0.8582 0.3582 0.5000 Pb
```

***

For KBi4Pd9, a DFT-relaxed cell (PBE, Alexandria) gives the theoretical powder diffractogram in this record (a wavelength of 1.5418 Å).

Most intense lines, 2θ from 15° to 90°, low angle first:
d/Å  I (rel.)
4.604  29.4
3.947  22.7
2.766  53.3
2.684  41.0
2.297  99.4
2.234  62.3
2.228  52.3
2.205  100.0
2.171  49.1
1.480  24.8

Structure:
```
KBi4Pd9
1.0
-4.6044 4.6044 6.9181
4.6044 -4.6044 6.9181
4.6044 4.6044 -6.9181
K Bi Pd
2 8 18
Direct
0.2500 0.2500 0.0000 K
0.7500 0.7500 0.0000 K
0.0540 0.5540 0.8556 Bi
0.1983 0.0540 0.5000 Bi
0.3017 0.8017 0.8556 Bi
0.4460 0.3017 0.5000 Bi
0.5540 0.6983 0.5000 Bi
0.6983 0.1983 0.1444 Bi
0.8017 0.9460 0.5000 Bi
0.9460 0.4460 0.1444 Bi
0.0000 0.5000 0.5000 Pd
0.0628 0.7985 0.5000 Pd
0.0648 0.2045 0.2693 Pd
0.2015 0.7015 0.2643 Pd
0.2045 0.9352 0.1397 Pd
0.2955 0.4352 0.7307 Pd
0.2985 0.5628 0.5000 Pd
0.4352 0.7045 0.1397 Pd
0.4372 0.9372 0.7357 Pd
0.5000 0.0000 0.5000 Pd
0.5628 0.0628 0.2643 Pd
0.5648 0.2955 0.8603 Pd
0.7015 0.4372 0.5000 Pd
0.7045 0.5648 0.2693 Pd
0.7955 0.0648 0.8603 Pd
0.7985 0.2985 0.7357 Pd
0.9352 0.7955 0.7307 Pd
0.9372 0.2015 0.5000 Pd
```

***

For PmNd2SmHo5, a DFT-relaxed cell (PBE, Alexandria) gives the theoretical powder diffractogram in this record (a wavelength of 1.5418 Å).

Most intense lines, 2θ from 15° to 90°, low angle first:
d/Å  I (rel.)
3.115  47.8
3.074  50.9
2.904  100.0
2.750  13.2
2.434  11.0
2.383  15.8
2.092  19.5
1.952  23.2
1.740  22.0
1.648  18.5

Structure:
```
PmNd2SmHo5
1.0
-4.3475 4.3475 7.8029
4.3475 -4.3475 7.8029
4.3475 4.3475 -7.8029
Pm Nd Sm Ho
2 4 2 10
Direct
0.2500 0.2500 0.0000 Pm
0.7500 0.7500 0.0000 Pm
0.1176 0.6176 0.7352 Nd
*/
Four RTU’s ranging from 6-12.5 tons were integrated into a central wireless control system to manage temperatures remotely and standardize set points. This took local control away from the employees and set the stores to corporate standards. All schedules were also standardized to not allow overrides.
Economizer Advanced Controls Added
-- Here the article breaks off for materials data --
____________
For Ta2MnZnO8, DFT lattice parameters and positions (GGA+U) gives the simulated X-ray powder pattern in this record (λ = 1.5418 Å (Cu Kα)).
Neutral-atom scattering factors, no anomalous dispersion.

Atomic structure:
Cell lengths 10.2451, 10.2451, 5.0959 Å; angles 95.97, 95.97, 32.59 degrees
Element x y z (fractional)
Ta1 0.1175 0.1175 0.0357
Ta2 0.2308 0.5320 0.4736
Ta3 0.4680 0.7692 0.5264
Ta4 0.8825 0.8825 0.9643
Mn1 0.5290 0.4710 0.0000
Mn2 0.8191 0.1809 0.5000
Zn1 0.2879 0.2572 0.8953
Zn2 0.7428 0.7121 0.1047
O1 0.0069 0.3755 0.9418
O2 0.1007 0.0174 0.6836
O3 0.1106 0.5568 0.1219
O4 0.2405 0.0824 0.3742
O5 0.2452 0.6379 0.8246
O6 0.3621 0.7548 0.1754
O7 0.3658 0.2706 0.5793
O8 0.4432 0.8894 0.8781
O9 0.5142 0.3807 0.3032
O10 0.6193 0.4858 0.6968
O11 0.6245 0.9931 0.0582
O12 0.7294 0.6342 0.4207
O13 0.7305 0.1640 0.8061
O14 0.8360 0.2695 0.1939
O15 0.9176 0.7595 0.6258
O16 0.9826 0.8993 0.3164

Peak list (6 most intense, 5 to 70 degrees two-theta, low angle first)
2θ (°)  d_spacing  I_rel
18.15  4.888  71
23.48  3.789  45
____________
-- The article goes on --
All economizers were taken over with new controls that maximize use of OA while not over ventilating. DCV (demand control ventilation) utilizes sensors to read CO2 in the air and add OA when needed to maintain proper air quality. The same system is used to prevent unnecessary ventilation.
Kitchen System Modified to Maximize Air Make-up
The kitchen unit previously was set to 68F during summer and winter, which ended up using mechanical cooling 365- 24/7 since the area could not meet 68F due to the heat generated in the area. After testing the system, we reset the area settings to 76F and integrated a OA mechanical cooling cut-off to 50F to prevent mechanical cooling and utilize OA to fully ventilate as much as possible.
Electric Window Heat Controlled with Same System
Window ceiling electric booster heat were operating uncontrolled and were routinely set to 85F. We found these systems operating while the mechanical cooling was also operating in the kitchens. The thermostat was also not on a schedule, so it was also running all night when they were closed. Tower added a control relay to the new control system and set the temperature to operate only when needed.
Electrical Saving on Building Automation– 20 hr/day Average Store
Unit | Yearly Savings | Cost Savings |
Kwh | 90,080 | $ 8,799.00 |
Maintenance | 40% | $ 12,995 |
10 yr Savings
$ 94,155.93
Elimination of service calls
Actual ROI
Reduced Service Calls
The remote real-time data on how each RTU is operating gives a better perspective on equipment operation and eliminates 40% of service calls by average. Data is compiled in real time and can spot operational problems early to prevent emergency failures.
Aging & Inefficient Store lighting
Store lighting was aging and inefficient. The old system was removed and replaced with an efficient LED system that can be cleaned easily and has no hazardous components for maintenance.

Using new and innovative technologies, Tower Energy can reduce your gas, electric and water bills. Looking for practical and less expensive alternatives using existing equipment is always a viable option. In addition, making employees aware of simple fixes will add operational efficiency at little or no cost.

Tower Energy finds We-Energy grants to subsidize most projects.
## Attached: calculated crystals
........
[1]
Calculated powder diffraction line list of PrGdAl6 for Cu Kα (weighted mean of Kα1 and Kα2), from a crystal structure in OQMD, relaxed with GGA-PBE.

Atomic structure:
Cell: 6.4700 6.4700 4.5874 Å, 90.00 90.00 120.00°
Fractional coordinates of all 8 atoms:
Pr (0.0000, 0.0000, 0.0000)
Gd (0.3333, 0.6667, 0.5000)
Al (0.3837, 0.1919, 0.5000)
Al (0.5223, 0.0447, 0.0000)
Al (0.5223, 0.4777, 0.0000)
Al (0.8081, 0.1919, 0.5000)
Al (0.8081, 0.6163, 0.5000)
Al (0.9553, 0.4777, 0.0000)

Principal peaks in the range 2θ = 10–80°, sorted by position:
15.8°, rel. 23
25.1°, rel. 98
27.6°, rel. 49
31.9°, rel. 26
37.6°, rel. 100
39.3°, rel. 21
47.3°, rel. 25
48.7°, rel. 30
63.2°, rel. 19
71.4°, rel. 18

***

[2]
Calculated powder diffraction line list of PrGdAl2 for Cu Kα (weighted mean of Kα1 and Kα2), from a crystal structure in OQMD, relaxed with GGA-PBE.

Atomic structure:
Cell: 5.6953 7.6201 9.1854 Å, 90.00 90.00 90.00°
Fractional coordinates of all 16 atoms:
Pr (0.2500, 0.1598, 0.0000)
Pr (0.2500, 0.6598, 0.5000)
Pr (0.7500, 0.3402, 0.5000)
Pr (0.7500, 0.8402, 0.0000)
Gd (0.2500, 0.1543, 0.6373)
Gd (0.2500, 0.6543, 0.1373)
Gd (0.7500, 0.3457, 0.1373)
Gd (0.7500, 0.8457, 0.6373)
Al (0.0000, 0.0000, 0.3217)
Al (0.0000, 0.5000, 0.8217)
Al (0.2500, 0.3060, 0.3189)
Al (0.2500, 0.8060, 0.8189)
Al (0.5000, 0.0000, 0.3217)
Al (0.5000, 0.5000, 0.8217)
Al (0.7500, 0.1940, 0.8189)
Al (0.7500, 0.6940, 0.3189)

Principal peaks in the range 2θ = 10–80°, sorted by position:
19.3°, rel. 30
21.8°, rel. 29
28.2°, rel. 85
31.4°, rel. 73
34.4°, rel. 59
35.3°, rel. 100
36.7°, rel. 19
37.1°, rel. 23
57.2°, rel. 29
58.5°, rel. 23

***

Which formula does entry 2 have? PrGdAl2

----------

The following is a simulated PXRD pattern of CeMg14B. It was derived from a DFT-relaxed cell (PBE, the Materials Project), using a wavelength of 1.5418 Å.
Peak positions follow from Bragg's law for the DFT cell and can differ from measured ones.

Atomic structure:
```
data_CeMg14B
_chemical_formula_sum 'Ce2 Mg28 B2'
_cell_length_a 10.1735
_cell_length_b 6.4084
_cell_length_c 11.1011
_cell_angle_alpha 90.00
_cell_angle_beta 90.00
_cell_angle_gamma 90.00
_space_group_name_H-M_alt 'A m m 2'
_space_group_IT_number 38
_space_group_name_Hall 'A 2 -2'
loop_
_atom_site_label
_atom_site_fract_x
_atom_site_fract_y
_atom_site_fract_z
Ce1 0.0000 0.0000 0.0000
Mg1 0.0000 0.0000 0.4896
Mg2 0.0000 0.2350 0.2549
Mg3 0.2336 0.0000 0.6662
Mg4 0.2713 0.0000 0.1593
Mg5 0.2717 0.2393 0.9199
Mg6 0.5000 0.0000 0.5062
Mg7 0.5000 0.2405 0.7467
B1 0.5000 0.0000 0.9996
```

Main lines, sorted by position (2θ = 15–90°):
| Position (°2θ) | intensity | index |
| --- | --- | --- |
| 15.97 | 23 | 0 0 2 |
| 18.21 | 46 | 1 1 1 |
| 29.22 | 20 | 1 2 0 |
| 30.90 | 21 | 3 0 2 |
| 32.26 | 27 | 0 2 2 |
| 35.29 | 23 | 4 0 0 |
| 36.90 | 100 | 2 0 4 |
| 57.52 | 17 | 0 4 0 |
| 64.38 | 18 | 6 0 4 |
| 69.32 | 17 | 4 4 0 |

---
........

Tower Energy will conduct a free energy assessment to evaluate opportunities that may exist. We also analyze your utility bills for exemptions from The EPA Energy Act of 2006. This frequently results in a tax refund or exemption on energy used in your facility.